Task 7

How Does Team America And In Bruges Use Comedy To Make Us Laugh?


In this essay I will be talking about how to do the movies Team America (October 11, 2014, Los Angeles, Trey) and In Bruges (8 February 2008 USA Martin Mcdonagh) and how they use comedy to make the audience laugh. Both of these films include comedic techniques like gags, social situations, gross out and screwball.

Team America is a comedy film with elements of animation and action film where the main character is a Broadway actor and he is recruited by the counter-terrorism organisation that is Team America to defeat the evil dictator Kim Jong Il. The two types of comedy that Team America uses the most is slapstick and gross-out. Team America made $12,120,358 on its opening weekend.

The other film that I will be talking about is In Bruges, which is described as a dark comedy thriller, which also includes elements of drama in it. This film is set in Bruges in Berlin where two hit men have to go into hiding after Ray accidently kills a child. In Bruges made $459.575 on its opening weekend.


Situational comedy is used in both films in different ways, for example, Team America uses situational comedy right from the beginning, this is the scene when the terrorists are attacking Paris, the way in which this is situational comedy is because of the stereotyping they do in the scene, if you look at the floor it is made out of croissants which typically associated with France, they also has characters walking around the Eiffel tower holding baguettes and wearing berries, another scene where they stereotype nationality is where you first see Kim Jong Il and they purposely make his accent more prominent.


Opening Scene Of Team America https://www.youtube.com/watch?v=d4cR5mvnFPs

Copyright to Jobatone


Meeting Kim Jon Il


Copyright to Erik Fogelström


In Bruges, they’ve used the technique of situational comedy in a different way, they do this by putting the characters in a place that is known to be quite boring and expect them to stay there without getting into trouble, another reason is because the two main characters in the film are polar opposites. Ken is older than ray and therefore just wants to stay at the hotel at night and read where as Ray would rather go out and see the nightlife, but this strikes a conflict with both of them because they are both stuck there due to the orders from their boss harry.


Another comedy technique is gross-out, this is used in Team America when one of the main actors, Gary, was being sick in the alleyway, this is also exaggerated to make it funny.


Alleyway Gary Scene


Copyright to NOshtSHERLOCK25


The target audience for team America is teenage boys because of the immature humour, the idea being that the humour is so absurd that they find it funny. The main theme that is shown in the film is gross-out humour, (1)this type of comedy is used in other films like Borat, Jackass: The Movie and The Hangover.


In Bruges contains a lot of dark humour, it takes on some sensitive issues like suicide and turns them into funny situations, an example is when the ray is about to shoot himself but Ken was to sent to kill him by their boss Harry.



Copyright Focus Features.




An example of slapstick humour in In Bruges is the scene where Ray calls a group of Americans ‘bunch of f**king elephants’ and then the American man tries to punch Ray and then chases him around the square. The way that Team America uses slapstick humour is much more obvious, they tend to use it in the form of fights between characters, an example is the fight between a Team America member and a terrorist, the scene is funny because of the way that they are fighting which can be seen below.
Team America Fight Scene


Copyright to 1994ramone



Another comedy technique is satirical humour, this meaning that you exaggerate things to make people laugh. An example from Team America is when Gary has to dress as a terrorist to spy on the other terrorists they do so by darkening his skin and putting a towel on his head. (2)the films that use this type of comedy are Ali G, Four Lions and Life Of Brian. An example from In Bruges is that they swear repeatedly to make the audience laugh, an example is when Ken and Harry meet up and the word c*nt is repeated to make the situation funny.


Ken and Harry Scene


Copyright to ishunlimted’s channel


To conclude this has been an essay on what comedy techniques the films Team America and In Bruges use to make the audience laugh.



1=Other films that use gross-out humour

2= Films that use satirical humour



Thank you to Matthew Goyne for the assistants in my classes.

Erin Gaukrodger for the assistants in my classes.



YouTube: https://www.youtube.com/watch?v=xB7BWvD5B5Y

Wikipedia: https://en.wikipedia.org/wiki/Category:British_satirical_films

You Tube:https://www.youtube.com/watch?v=BQAACsFAOTY

YouTube: https://youtu.be/rjAFSe-UfyY





In Bruges Team America
Budget $15 million $32 million
Grossed Opening Day $125.541
Grossed Opening Weekend $459.575 $12.120.358



In my opinion, I think that the Coen brothers are auteurs. The word auteur means that the director of the film influences so much that they can call themselves the author of a film. The theory of being an auteur is that it depends on the director whether the film is good or not.

The Coen brothers are known for their distinctive stamps that they put on their films, these include things like the types of characters that they use or the themes and issues that they address in their films. Firstly in the Coen brothers films, they break several screenwriting rules, for example in a few of their films bad things happen to the good people and the bad guys, get off clean. Another way that the Coen Brothers put their stamp on the films is the sound effects that they use, in No Country For Old Men (November 9, 2007, USA, Joel David Coen

Ethan Jesse Coen) they use sounds like just the wind blowing, this makes the audience feel isolated, this makes the character also look like he is isolated and alone.

The Coen Brothers also include themes that are in a lot of their films, one of these themes are kidnapping, this takes part in Fargo ( March 8, 1996, USA, Joel Coen, Ethan Coen) when Jerry at the start of the movie he asks Carl to kidnap his wife. The overall theme of characters that are in the Coen Brothers films are that they are trying to understand the absurd world that then live in, this can be reflected in the lengths that Jerry goes to in order to get out of debt. Another convention in the Coen brother films is that it is never really clear which is the hero and which is the villain.

The Auteur Theory is something that started from the enthusiasts who wrote for Cahiers du Cinéma and argued that films should reflect a director’s personal vision. This meaning it’s always down to the director whether it’s a good film or not. Andrew Sarris is a well-known film critic in America who says that to be an auteur you need to have technical competence, personality and interior meaning. I think the Coen Brothers have technical competence because of the way that they film, most scenes in their films are lengthy because Coen Brothers think that they should show what would really happen in real life. Additionally, I think that they have a personality in their films, they demonstrate this through the characters that they use, in several of these films they have one character that is referred to as the ‘motor mouth’, this character can be found in films like The Big Lebowski and Fargo. Lastly I think the Coen Brothers have interior meaning because at the ending of their films they always seem to have a moral to the story, more often than not it is the same moral which is that if you do bad things you will get away with it and if you do good things bad things will happen to you. For example in both Fargo A

Another big factor in the Coen brother films is dialogue, a distinctive characteristic of the films is the accent, which in most of their films is southern American, this is because the films are set in southern America. Another characteristic is that the villains tend to swear a lot. Here is an example Carl Showalter: ‘I am through fuckin’ around here! Drop that fuckin’ briefcase!’. I think this is because the villains are generally very angry in the mood.


Video Game Cover Analysis

Call Of Duty

This video game cover is very stereotypical of a game that is aimed at boys, one of these  stereotypes is having a face of a man who is clearly masculine and is clearly in the army due to his clothing, this is  stereotype because everyman who is seen to be in the army is seen to bed very manly and  a strong figure


•Grand Theft Auto V

•This poster represents elements of violence in the game because they are holding weapons

•The font for the title is the same as all the other GTA games, this will be easily recognised by the customers.

•In the letter ‘V’ it is the same colour as American dollars which suggests there is an element of money in the game.

Grand Theft Auto V

  • This poster represents elements of violence in the game because they are holding weapons
•The font for the title is the same as all the other GTA games, this will be easily recognised by the customers.
•In the letter ‘V’ it is the same colour as American dollars which suggests there is an element of money in the game.

• Attached: records of molecules:
~~~
[1]
# C2H18ClO7

8 unconnected molecules or ions with the total composition C2H18ClO7 in a non-equilibrium geometry (the ωB97M-V functional and the def2-TZVPD basis, OMol25).

Last column: natural (NBO) charge in e.
Cartesian coordinates (Å):
Cl  -1.0842  0.6596  -0.0050  -0.94
O  -0.7382  2.4204  2.7513  -0.97
H  -0.4448  2.1502  1.8812  0.49
H  -0.8856  1.5993  3.2206  0.47
O  -1.3129  3.9102  -0.0674  -0.96
H  -1.5307  2.9782  -0.0543  0.50
H  -0.4774  3.9680  0.3960  0.45
O  1.6149  2.1243  -0.9002  -0.96
H  1.6174  2.7770  -0.2000  0.45
H  1.0883  1.4036  -0.5546  0.50
O  -1.9581  -2.2286  -2.0093  -0.96
H  -1.1073  -2.6270  -2.1928  0.46
H  -1.7512  -1.3324  -1.7442  0.49
O  -0.9308  -2.0001  2.0218  -0.97
H  -0.6777  -1.4558  1.2762  0.49
H  -1.7732  -2.3774  1.7685  0.47
O  -3.5246  1.2318  2.3575  -0.97
H  -2.9208  1.6951  2.9380  0.47
H  -3.0013  1.0238  1.5835  0.49
C  1.3113  -2.0096  -1.0259  -0.64
C  2.7188  -1.5720  -1.2462  -0.07
O  2.9262  -1.9475  -2.6198  -0.73
H  1.0691  -2.9408  -1.5382  0.20
H  0.6481  -1.2577  -1.4534  0.23
H  1.0696  -2.2114  0.0176  0.22
H  3.4717  -1.9422  -0.5504  0.15
H  2.8456  -0.4971  -1.1172  0.18
H  3.7379  -1.5419  -2.9334  0.46

Results
HOMO = -6.30 eV
E_tot = -29224.37839 eV
energy relative to the best compared isomer or geometry (same formula, charge and spin) = 0.394 eV
largest force on an atom = 1.12 eV Å⁻¹
frontier orbital gap = 9.30 eV
net charge = -1

[2]
# C2H21O9

9 unconnected molecules or ions with the total composition C2H21O9 in a non-equilibrium geometry (the ωB97M-V functional and the def2-TZVPD basis, OMol25).

Last column: natural (NBO) charge in e.
Cartesian coordinates (Å):
O  0.6863  -0.1502  -0.2133  -1.28
H  1.4989  -0.1502  0.3022  0.44
C  -4.1031  -0.1045  0.3214  -0.63
C  -2.6337  -0.4323  0.4874  -0.06
O  -1.9988  -0.5996  -0.7713  -0.78
H  -4.5991  -1.0131  -0.0310  0.20
H  -4.2337  0.6961  -0.4029  0.21
H  -4.5396  0.0863  1.3029  0.20
H  -2.4759  -1.3263  1.1036  0.17
H  -2.0741  0.4016  0.9357  0.15
H  -1.0564  -0.4011  -0.5437  0.51
O  -0.4410  -1.7570  -2.9411  -0.97
H  0.4860  -1.5449  -2.8031  0.47
H  -0.9238  -1.2402  -2.2716  0.49
O  0.2425  1.1193  2.3351  -0.97
H  0.4023  0.5922  1.5229  0.49
H  -0.3782  1.7997  2.0597  0.46
O  3.8505  1.7826  2.2098  -0.98
H  3.2176  2.3794  2.6179  0.46
H  3.4358  1.5384  1.3589  0.50
O  0.1115  -2.5264  1.2344  -0.97
H  0.0949  -1.5930  0.9385  0.50
H  0.6287  -2.9755  0.5616  0.46
O  -0.2409  2.0782  -1.4782  -0.98
H  -0.2768  2.7114  -0.7566  0.45
H  0.0886  1.2388  -1.0600  0.50
O  2.7640  1.7824  -0.3668  -0.98
H  3.1532  1.5550  -1.2170  0.48
H  1.9544  1.2198  -0.3079  0.49
O  2.7070  -1.5276  -1.6089  -0.99
H  1.9317  -1.1725  -1.1167  0.50
H  2.7212  -2.4670  -1.4018  0.46

Results
HOMO = -6.93 eV
E_tot = -20844.67502 eV
energy relative to the best compared isomer or geometry (same formula, charge and spin) = 0.000 eV
largest force on an atom = 1.02 eV Å⁻¹
frontier orbital gap = 10.07 eV
net charge = -1

[3]
~~~
• The text goes on:

Initial Game Cover Design


Final Game Cover Design

Capture 1

TV Guide


Book Cover



The way I have shown representation in my work is firstly on my book cover, I have used very neutral hands to hold the utensils in this graphic, In this I was trying the convey the message of that any gender can be a good cook.

In my second piece of work my Game cover, becuase the theme of my game was Game Of Thrones, in the centre, I placed one of the strong male leads from the programme.